The Carolingian Renaissance

The Carolina Renaissance was a period of boom in cultural activity in the Carolingian Empire. It was the first in a series of three medieval renaissances. The Carolingian Renaissance began in the late 8th century and continued into the 9th century. The 4th- century Roman empire inspired it. The revival was characterized by the increase in liturgical, architecture, literature, jurisprudence, writing, and religious studies. The renaissance occurred during the reign of Louis the Pious and Charlemagne. It received support from scholars including Alcuin of York and several members of the Carolingian court.
Charles’ Court
In the mid-8th century, Charlemagne approached scholars in his court with the aim of reviving the artistic creation and literacy similar to that of the Roman Empire. During the reign of his father, some teachers had been approached to teach a small group of young men. He established a school and appointed Alcuin as the head. Scholars arrived at the schools from as far as Germany, Ireland, Spain, and Italy. They visited monasteries and dioceses where they founded libraries, organized schools and transcribed old writings. They taught the locals how to engage in religious activities especially participating in church music.
Educational System
Before the renaissance, the education system was reserved for a small audience in the society. During the Renaissance, education became attainable, but its influence in the community was still limited The activities of the Carolingian schools adopted the principle of seven Liberal arts and were divided into Trivium and Quadrivium. Trivium emphasized on logic, grammar, and rhetoric while Quadrivium emphasized on arithmetic, astronomy, music, and geometry. Reading and writing were the basics a student was suppose to learn.
# Misplaced crystal structures
-- begin --
Entry 1:
# YMgSb

Crystalline YMgSb at its relaxed geometry (GGA-PBE, the Alexandria database).

Unit cell a=3.4897 b=4.0698 c=10.9729 alpha=90.00 beta=90.00 gamma=90.00
Space group Imm2 (No. 44)
Unique sites:
Y1 0.0000 0.0000 0.0000
Mg1 0.0000 0.0000 0.3111
Sb1 0.0000 0.0000 0.6724

* size of the total moment: 0.0 μB/f.u.
* ΔE_f (raw): -1.24 eV/f.u.
* D(E_F): 3.9 states/eV per cell
* ΔE to the lowest computed polymorph: 116.6 meV per atom

---

Entry 2:
# YMg2Sb

Crystalline YMg2Sb at its relaxed geometry (GGA-PBE, the Alexandria database).

Unit cell a=4.0463 b=4.0463 c=6.2745 alpha=90.00 beta=90.00 gamma=90.00
Space group P4/mmm (No. 123)
Unique sites:
Y1 0.0000 0.0000 0.0000
-- stop --
# Here the piece continues
Charlemagne considered the restoration of architecture as an important aspect of his empire. The most magnificent building in the empire was the sacral basilicas used for religious purposes only. The Palatin Chapel in Aachen was the monument of the Carolingian Renaissance; it was built between the late 8th and early 9th centuries. It acted as the religious center for the Charlemagne’s court, and for the next six decades, it was the crowning hall of German leaders. Today, the Aachen cathedral stands where the Palatin Chapel stood. The Aachen cathedral is much bigger and its predecessor. Only a small part of the wall was preserved although it was redeveloped to allow it survive the elements of weather.
Attached: calculated crystals:
A plane-wave DFT calculation with PBEsol was carried out for Na2TiSi4H4O13 after structural relaxation.

a b c (Å): 7.350 7.350 10.727
angles (deg): 90.00 90.00 90.00
Element x y z (fractional)
Na (0.500, 0.500, 0.164)
Na (0.000, 0.000, 0.836)
Na (0.500, 0.500, 0.836)
Na (0.000, 0.000, 0.164)
Ti (0.000, 0.500, 0.217)
Ti (0.500, 0.000, 0.783)
Si (0.257, 0.820, 0.354)
Si (0.743, 0.180, 0.354)
Si (0.757, 0.680, 0.646)
Si (0.243, 0.320, 0.646)
Si (0.820, 0.257, 0.646)
Si (0.180, 0.743, 0.646)
Si (0.680, 0.757, 0.354)
Si (0.320, 0.243, 0.354)
H (0.216, 0.628, 0.013)
H (0.784, 0.372, 0.013)
H (0.716, 0.872, 0.987)
H (0.284, 0.128, 0.987)
H (0.628, 0.216, 0.987)
H (0.372, 0.784, 0.987)
H (0.872, 0.716, 0.013)
H (0.128, 0.284, 0.013)
O (0.461, 0.747, 0.324)
O (0.539, 0.253, 0.324)
O (0.961, 0.753, 0.676)
O (0.039, 0.247, 0.676)
O (0.747, 0.461, 0.676)
O (0.253, 0.539, 0.676)
O (0.753, 0.961, 0.324)
O (0.247, 0.039, 0.324)
O (0.111, 0.731, 0.261)
O (0.889, 0.269, 0.261)
O (0.611, 0.769, 0.739)
O (0.389, 0.231, 0.739)
O (0.731, 0.111, 0.739)
O (0.269, 0.889, 0.739)
O (0.769, 0.611, 0.261)
O (0.231, 0.389, 0.261)
O (0.000, 0.500, 0.055)
O (0.500, 0.000, 0.945)
O (0.213, 0.787, 0.500)
O (0.787, 0.213, 0.500)
O (0.713, 0.713, 0.500)
O (0.287, 0.287, 0.500)
O (0.348, 0.652, 0.000)
O (0.652, 0.348, 0.000)
O (0.848, 0.848, 0.000)
O (0.152, 0.152, 0.000)

Properties
Energy above the most stable polymorph in this dataset = 0.011 eV per atom

=====

A plane-wave DFT calculation with PBEsol was carried out for Na2ZrSi4H4O13 after structural relaxation.

a b c (Å): 7.582 8.886 9.135
angles (deg): 90.00 112.81 90.00
Element x y z (fractional)
Na (0.285, 0.686, 0.793)
Na (0.715, 0.314, 0.207)
Na (0.215, 0.186, 0.207)
Na (0.785, 0.814, 0.793)
Zr (0.000, 0.500, 0.000)
Zr (0.500, 0.000, 0.000)
Si (0.303, 0.341, 0.833)
Si (0.697, 0.659, 0.167)
Si (0.197, 0.841, 0.167)
Si (0.803, 0.159, 0.833)
Si (0.091, 0.059, 0.682)
Si (0.909, 0.941, 0.318)
Si (0.409, 0.559, 0.318)
Si (0.591, 0.441, 0.682)
H (0.093, 0.289, 0.482)
H (0.907, 0.711, 0.518)
H (0.407, 0.789, 0.518)
H (0.593, 0.211, 0.482)
H (0.391, 0.885, 0.661)
H (0.609, 0.115, 0.339)
H (0.109, 0.385, 0.339)
H (0.891, 0.615, 0.661)
O (0.433, 0.230, 0.973)
O (0.567, 0.770, 0.027)
O (0.067, 0.730, 0.027)
O (0.933, 0.270, 0.973)
O (0.184, 0.464, 0.886)
O (0.816, 0.536, 0.114)
O (0.316, 0.964, 0.114)
O (0.684, 0.036, 0.886)
O (0.275, 0.958, 0.782)
O (0.725, 0.042, 0.218)
O (0.225, 0.458, 0.218)
O (0.775, 0.542, 0.782)
O (0.457, 0.799, 0.635)
O (0.543, 0.201, 0.365)
O (0.043, 0.299, 0.365)
O (0.957, 0.701, 0.635)
O (0.158, 0.236, 0.682)
O (0.842, 0.764, 0.318)
O (0.342, 0.736, 0.318)
O (0.658, 0.264, 0.682)
O (0.427, 0.445, 0.756)
O (0.573, 0.555, 0.244)
O (0.073, 0.945, 0.244)
O (0.927, 0.055, 0.756)
O (0.500, 0.500, 0.500)
O (0.000, 0.000, 0.500)

Properties
Final energy = -7.2174 eV/atom

=====

A plane-wave DFT calculation with PBEsol was carried out for Na2Te2H4O7 after structural relaxation.

a b c (Å): 5.589 6.121 11.483
The piece goes on:
Compared to the periods before Charlemagne, the Renaissance can be considered a period of great cultural ascent. Education became organized although it was still limited. Value literature and scientific antiques were transcribed to the Carolingian scriptoria and stored safely. Historians are unsure of how to characterize the rule of the Charlemagne, whether as the last of the traditional rulership or the first of medieval Europe. The Carolingian art extended to other parts of Europe and became an influential period of artwork across the continent. The art led to the development of Romanesque art and Gothic art